### To do
Could you restate the lines underneath up to the one that holds "<S²>: 0.755", that line included?

### Data
'''
No. 1
Below is C23H64N12O12Zn as an isolated structure, with properties calculated with ωB97M-V/def2-TZVPD.

Each line ends with the Löwdin spin population.
Atoms and positions in Å:
Zn 0.413 2.821 0.271  0.067
C 0.359 0.582 0.335  0.460
O -0.178 1.168 1.293  0.081
O 1.521 0.962 0.251  0.129
O -0.288 1.155 -0.581  0.084
C -3.898 1.186 1.326  0.000
O -5.112 1.270 1.566  0.000
N -2.982 1.378 2.149  0.002
N -3.473 0.677 0.178  0.000
H -3.201 1.454 3.132  0.000
H -2.017 1.272 1.870  0.002
H -4.192 0.466 -0.499  0.000
H -2.475 0.607 0.034  0.001
C 0.018 2.430 4.802  0.001
O 0.113 3.269 5.649  0.001
N -0.772 1.417 4.819  0.000
N 0.768 2.398 3.760  0.004
H -1.372 1.155 5.588  0.000
H -0.667 0.716 4.099  0.000
H 1.397 3.173 3.605  0.001
H 0.517 1.810 2.977  0.003
C -1.560 4.015 -1.782  0.004
O -0.602 4.093 -1.043  0.026
N -1.709 4.756 -2.865  0.001
N -2.523 3.221 -1.566  0.002
H -1.059 5.469 -3.163  0.000
H -2.348 4.437 -3.579  0.000
H -3.287 3.160 -2.224  0.000
H -2.382 2.543 -0.831  0.003
C 4.674 0.836 2.013  0.000
O 5.646 0.761 2.784  0.000
N 3.549 1.332 2.348  0.000
N 4.640 0.365 0.814  0.000
H 3.421 1.770 3.249  0.000
H 2.809 1.130 1.691  0.001
H 5.527 0.197 0.362  0.000
H 3.829 0.530 0.234  -0.001
C 2.267 -6.221 -0.540  0.000
O 1.137 -5.503 -0.975  0.000
C 1.376 -4.131 -0.906  0.000
C 0.174 -3.299 -1.119  0.004
N -0.646 -3.136 0.110  0.004
C -1.705 -2.183 -0.099  0.012
C -2.879 -2.741 -0.830  0.001
O -3.480 -3.749 -0.117  0.000
C -4.282 -4.546 -0.984  0.000
H 3.096 -6.167 -1.246  0.000
H 2.041 -7.281 -0.654  0.000
H 2.667 -5.960 0.439  0.000
H 2.043 -3.868 -1.727  0.000
H 1.734 -3.800 0.069  0.000
H -0.399 -3.690 -1.960  0.000
H 0.567 -2.377 -1.549  0.003
H -0.967 -4.058 0.370  0.000
H -1.447 -1.270 -0.637  0.009
H -2.064 -1.910 0.893  0.001
H -2.633 -2.932 -1.874  0.000
H -3.533 -1.884 -0.990  0.000
H -3.765 -4.845 -1.896  0.000
H -5.119 -3.936 -1.322  0.000
H -4.734 -5.364 -0.423  0.000
C 0.265 -2.319 4.984  0.000
C 0.510 -1.601 3.629  0.001
C 1.468 -2.303 2.626  0.004
O 2.648 -2.655 3.350  0.001
C 3.643 -3.222 2.514  0.000
N -0.727 -1.313 2.981  0.007
H -0.627 -2.947 4.986  0.000
H 0.239 -1.552 5.758  0.000
H 1.086 -2.988 5.240  0.000
H 0.803 -0.573 3.846  0.000
H 1.771 -1.564 1.883  0.005
H 0.858 -3.076 2.159  0.000
H 4.654 -3.059 2.887  0.000
H 3.756 -2.709 1.559  0.000
H 3.437 -4.272 2.309  0.000
H -0.522 -0.646 2.250  0.008
H -1.089 -2.146 2.539  0.000
C -1.170 -0.026 -5.554  0.000
C -1.441 0.358 -4.072  0.000
C -2.774 -0.175 -3.515  0.000
O -3.904 0.476 -4.220  0.000
C -5.206 -0.012 -3.808  0.000
N -0.328 -0.115 -3.300  0.000
H -1.976 0.313 -6.204  0.000
H -1.119 -1.092 -5.778  0.000
H -0.294 0.529 -5.890  0.000
H -1.468 1.442 -3.962  0.000
H -2.677 -0.044 -2.438  0.000
H -2.807 -1.250 -3.695  0.000
H -5.340 0.265 -2.762  0.000
H -5.214 -1.100 -3.885  0.000
H -6.048 0.396 -4.367  0.000
H -0.438 0.119 -2.324  0.001
H 0.535 0.376 -3.484  0.000
C 3.912 5.130 0.644  0.002
C 2.744 4.356 0.028  0.003
C 2.975 3.407 -1.203  0.003
O 1.642 3.052 -1.696  0.013
C 1.773 2.294 -2.901  0.002
N 2.049 3.676 1.056  0.037
H 4.237 5.854 -0.103  0.001
H 4.659 4.416 0.991  0.000
H 3.553 5.716 1.491  0.000
H 2.152 5.155 -0.419  0.001
H 3.471 2.561 -0.727  0.001
H 3.597 3.875 -1.966  0.000
H 0.879 2.239 -3.522  0.000
H 2.262 1.364 -2.611  0.000
H 2.449 2.723 -3.642  0.000
H 2.757 3.128 1.523  0.001
H 1.831 4.412 1.713  0.002

<S²>: 0.755
Multiplicity: 2
Charge: -1
HOMO (spin up / spin down), eV: -2.3 / -3.7
Frontier orbital gap (spin up / spin down), eV: 4.0 / 5.4
M, g/mol: 766.23

No. 2
Below is C23H20BrN5O5PtS as an isolated structure, with properties calculated with ωB97M-V/def2-TZVPD.

Each line ends with the Mulliken charge.
Atoms and positions in Å:
Pt 0.304 -0.147 -0.306  1.596
C -6.682 0.553 0.228  -1.421
C -5.285 0.264 0.687  0.791
C -4.468 -0.630 -0.009  -0.895
C -3.189 -0.921 0.430  -0.561
C -2.725 -0.292 1.584  0.618
C -3.515 0.605 2.302  -0.616
C -4.788 0.876 1.843  -0.751
S -1.142 -0.663 2.173  1.174
O -0.623 -1.815 1.470  -0.670
'''

### Result
No. 1
Below is C23H64N12O12Zn as an isolated structure, with properties calculated with ωB97M-V/def2-TZVPD.

Each line ends with the Löwdin spin population.
Atoms and positions in Å:
Zn 0.413 2.821 0.271  0.067
C 0.359 0.582 0.335  0.460
O -0.178 1.168 1.293  0.081
O 1.521 0.962 0.251  0.129
O -0.288 1.155 -0.581  0.084
C -3.898 1.186 1.326  0.000
O -5.112 1.270 1.566  0.000
N -2.982 1.378 2.149  0.002
N -3.473 0.677 0.178  0.000
H -3.201 1.454 3.132  0.000
H -2.017 1.272 1.870  0.002
H -4.192 0.466 -0.499  0.000
H -2.475 0.607 0.034  0.001
C 0.018 2.430 4.802  0.001
O 0.113 3.269 5.649  0.001
N -0.772 1.417 4.819  0.000
N 0.768 2.398 3.760  0.004
H -1.372 1.155 5.588  0.000
H -0.667 0.716 4.099  0.000
H 1.397 3.173 3.605  0.001
H 0.517 1.810 2.977  0.003
C -1.560 4.015 -1.782  0.004
O -0.602 4.093 -1.043  0.026
N -1.709 4.756 -2.865  0.001
N -2.523 3.221 -1.566  0.002
H -1.059 5.469 -3.163  0.000
H -2.348 4.437 -3.579  0.000
H -3.287 3.160 -2.224  0.000
H -2.382 2.543 -0.831  0.003
C 4.674 0.836 2.013  0.000
O 5.646 0.761 2.784  0.000
N 3.549 1.332 2.348  0.000
N 4.640 0.365 0.814  0.000
H 3.421 1.770 3.249  0.000
H 2.809 1.130 1.691  0.001
H 5.527 0.197 0.362  0.000
H 3.829 0.530 0.234  -0.001
C 2.267 -6.221 -0.540  0.000
O 1.137 -5.503 -0.975  0.000
C 1.376 -4.131 -0.906  0.000
C 0.174 -3.299 -1.119  0.004
N -0.646 -3.136 0.110  0.004
C -1.705 -2.183 -0.099  0.012
C -2.879 -2.741 -0.830  0.001
O -3.480 -3.749 -0.117  0.000
C -4.282 -4.546 -0.984  0.000
H 3.096 -6.167 -1.246  0.000
H 2.041 -7.281 -0.654  0.000
H 2.667 -5.960 0.439  0.000
H 2.043 -3.868 -1.727  0.000
H 1.734 -3.800 0.069  0.000
H -0.399 -3.690 -1.960  0.000
H 0.567 -2.377 -1.549  0.003
H -0.967 -4.058 0.370  0.000
H -1.447 -1.270 -0.637  0.009
H -2.064 -1.910 0.893  0.001
H -2.633 -2.932 -1.874  0.000
H -3.533 -1.884 -0.990  0.000
H -3.765 -4.845 -1.896  0.000
H -5.119 -3.936 -1.322  0.000
H -4.734 -5.364 -0.423  0.000
C 0.265 -2.319 4.984  0.000
C 0.510 -1.601 3.629  0.001
C 1.468 -2.303 2.626  0.004
O 2.648 -2.655 3.350  0.001
C 3.643 -3.222 2.514  0.000
N -0.727 -1.313 2.981  0.007
H -0.627 -2.947 4.986  0.000
H 0.239 -1.552 5.758  0.000
H 1.086 -2.988 5.240  0.000
H 0.803 -0.573 3.846  0.000
H 1.771 -1.564 1.883  0.005
H 0.858 -3.076 2.159  0.000
H 4.654 -3.059 2.887  0.000
H 3.756 -2.709 1.559  0.000
H 3.437 -4.272 2.309  0.000
H -0.522 -0.646 2.250  0.008
H -1.089 -2.146 2.539  0.000
C -1.170 -0.026 -5.554  0.000
C -1.441 0.358 -4.072  0.000
C -2.774 -0.175 -3.515  0.000
O -3.904 0.476 -4.220  0.000
C -5.206 -0.012 -3.808  0.000
N -0.328 -0.115 -3.300  0.000
H -1.976 0.313 -6.204  0.000
H -1.119 -1.092 -5.778  0.000
H -0.294 0.529 -5.890  0.000
H -1.468 1.442 -3.962  0.000
H -2.677 -0.044 -2.438  0.000
H -2.807 -1.250 -3.695  0.000
H -5.340 0.265 -2.762  0.000
H -5.214 -1.100 -3.885  0.000
H -6.048 0.396 -4.367  0.000
H -0.438 0.119 -2.324  0.001
H 0.535 0.376 -3.484  0.000
C 3.912 5.130 0.644  0.002
C 2.744 4.356 0.028  0.003
C 2.975 3.407 -1.203  0.003
O 1.642 3.052 -1.696  0.013
C 1.773 2.294 -2.901  0.002
N 2.049 3.676 1.056  0.037
H 4.237 5.854 -0.103  0.001
H 4.659 4.416 0.991  0.000
H 3.553 5.716 1.491  0.000
H 2.152 5.155 -0.419  0.001
H 3.471 2.561 -0.727  0.001
H 3.597 3.875 -1.966  0.000
H 0.879 2.239 -3.522  0.000
H 2.262 1.364 -2.611  0.000
H 2.449 2.723 -3.642  0.000
H 2.757 3.128 1.523  0.001
H 1.831 4.412 1.713  0.002

<S²>: 0.755